Ilya Kharkow

<<<
DFT (PBE) results for a relaxed Al2VAu2 crystal.

Computed properties:
formation enthalpy at 0 K	-73.2	meV per atom
E above lowest polymorph	13	meV/atom
energy	-4.70	eV per atom
symmetry	P4/mbm

Cell lengths 7.477, 7.477, 2.998 Å; angles 90.00, 90.00, 90.00 degrees
Positions (direct):
Al 0.168 0.332 0.000
Al 0.332 0.832 0.000
Al 0.668 0.168 0.000
Al 0.832 0.668 0.000
V 0.000 0.000 0.500
V 0.500 0.500 0.500
Au 0.134 0.634 0.500
Au 0.366 0.134 0.500
Au 0.634 0.866 0.500
Au 0.866 0.366 0.500


DFT (PBE) results for a relaxed NpNbS3 crystal.

Computed properties:
E above lowest polymorph	331	meV/atom
energy	-7.97	eV per atom
symmetry	C2/m
formation energy without anion corrections	-0.89	eV per atom

Cell lengths 7.690, 7.690, 9.244 Å; angles 106.96, 106.96, 25.37 degrees
Positions (direct):
Np 0.148 0.148 0.343
Np 0.852 0.852 0.657
Nb 0.341 0.341 0.145
Nb 0.659 0.659 0.855
S 0.039 0.039 0.735
S 0.165 0.165 0.057
S 0.334 0.334 0.426
S 0.666 0.666 0.574
S 0.835 0.835 0.943
S 0.961 0.961 0.265


DFT (PBE) results for a relaxed AcAl3PdPt crystal.

Computed properties:
formation enthalpy at 0 K	-658.8	meV per atom
energy	-5.09	eV per atom
symmetry	Cmcm

Cell lengths 6.947, 6.947, 6.758 Å; angles 90.00, 90.00, 124.09 degrees
Positions (direct):
Ac 0.242 0.758 0.750
Ac 0.758 0.242 0.250
Al 0.211 0.789 0.250
Al 0.282 0.282 0.000
Al 0.282 0.282 0.500
Al 0.718 0.718 0.000
Al 0.718 0.718 0.500
Al 0.789 0.211 0.750
Pd 0.401 0.599 0.250
Pd 0.599 0.401 0.750
Pt 0.021 0.979 0.250
Pt 0.979 0.021 0.750
>>>
The data records stop here.

These are Truly Dangerous People – Interview with Ilya Kharkow

March 22, 2024

For those who feel ashamed of their own unwillingness to fight, I want to remind that shame is a form of self-hatred.

Tell our readers about yourself

My name is Ilya Kharkow. I’m the author of the novel THE MINING BOYS. A year and a half ago I fled Ukraine. I am here to remind each of you that your life is more than a political compromise.

What do you mean by this?

Today in Ukraine, being a guy means being a mobilization reserve, not a human.

Recently, I learned that only 3 countries in Europe don’t compel men to participate in war in the event of martial law: Germany, Sweden, and Switzerland.

I hope this is a mistake. But if it’s true, then we have problems. And I want to talk about it.

So, you think there is no need to defend a country?

If that’s your sincere desire, then do it. But I believe that you can’t become a hero by force. No one has the right to demand that you risk your life for anything. Why? Because your life is the highest value. If you do not realize the value of your own life, then you should not expect the state to do it for you in the midst of war.

What if the highest value for someone is not their life, but, for example, their family?

Protecting a family doesn’t mean going to war. Protecting a family means staying with a family during difficult times.

I grew up without a dad, and it made my childhood uneasy. That’s why I don’t understand how married guys with kids can leave them.

I was 3 years old when my dad left the family. It’s because of that I remember my early childhood well. That period that healthy children usually forget. If you dare to make love in front of an infant, hoping that he doesn’t understand what is going on, remember my story because I remember well how my parents did it. But you know, without these memories, my books might not contain so many intimate descriptions.

But guys don’t always leave their families voluntarily. As far as we understand, only a small percentage of men are not subject to mobilization.

This is one of the reasons why I say that forced mobilization is a crime. The state demands that you choose protecting its borders over raising your own kids. And then your kids end up in single-parent families, where they grow up to be artists unadopted to life, yeah, I know what I’m talking about.

A guy is not taken to war only if he has 3 or more kids. But on the Internet, you can easily find videos of blind people receiving summonses. I once saw a video where the military forcibly took a guy with amputated wrists to the military registration and enlistment office to check his suitability for military service. This inspired me to write the story “WOULD YOU TOUCH IT?”

Tell us more about your position on the war.

So, try to step back from the image of war that news imposes on us, and you’ll see a fight of 2 systems. There is no good here. No bright side. There are just 2 systems, and each invites you to take someone’s side. But often, when you’re forced to choose between 2 options, it’s worth choosing a third.

Quality of life. Citizens’ happiness index. What exactly are we defending? Is it someone else’s right to send us to the front lines and destroy our homes in a sake of saving the whole world?

By conducting mobilization, the Ukrainian side has done exactly what it frightened us with when describing mobilization in Russia. I remember with what glee Ukrainian TV presenters talked about Russian mobilization points opening on the border with Georgia. Meanwhile, Russian borders are open, and Ukraine’s borders have been closed to guys for two years now, and for these two years, there has been a real hunt for guys in the country.

The goal of Ukrainian checkpoints is no longer to repel enemy advances, but to catch guys on the roads and send them to their deaths. And yet, we were told that there is only one enemy, and we believed it.

In defending democratic values, it would be worth asking how things are with them in Ukraine. Corruption? Exists. Homophobia? Exists. Discrimination based on language? Now this is a big issue too. Can a corrupt person lead the fight against corruption? So why do we believe that a country that is destroying democratic values before our eyes can defend these same values?

Could you tell us more about discrimination based on language?

[Records of crystals, as found in the file]
........
1.
# PBE GaHSCl2, optimized geometry
data_GaHSCl2
_chemical_formula_sum 'Ga1 H1 S1 Cl2'
_cell_length_a 4.916
_cell_length_b 4.916
_cell_length_c 4.709
_cell_angle_alpha 90.00
_cell_angle_beta 90.00
_cell_angle_gamma 90.00
_space_group_name_H-M_alt 'P 4/m m m'
_space_group_IT_number 123
_space_group_name_Hall '-P 4 2'
loop_
_atom_site_label
_atom_site_type_symbol
_atom_site_fract_x
_atom_site_fract_y
_atom_site_fract_z
_atom_site_occupancy
Ga1 Ga 0.000 0.000 0.000 1
H1 H 0.500 0.500 0.500 1
S1 S 0.000 0.000 0.500 1
Cl1 Cl 0.000 0.500 0.000 1
# Distance to the lowest polymorph of the same formula = 69 meV/atom

=====

2.
# PBE KCdOs2, optimized geometry
data_KCdOs2
_chemical_formula_sum 'K1 Cd1 Os2'
_cell_length_a 2.715
_cell_length_b 5.095
_cell_length_c 6.456
_cell_angle_alpha 90.00
_cell_angle_beta 95.01
_cell_angle_gamma 90.00
_space_group_name_H-M_alt 'P 1 2/m 1'
_space_group_IT_number 10
loop_
_space_group_symop_operation_xyz
'x,y,z'
'-x,-y,-z'
'-x,y,-z'
'x,-y,z'
loop_
_atom_site_label
_atom_site_type_symbol
_atom_site_fract_x
_atom_site_fract_y
_atom_site_fract_z
_atom_site_occupancy
K1 K 0.000 0.000 0.000 1
Cd1 Cd 0.500 0.000 0.500 1
Os1 Os 0.273 0.500 0.665 1
# Formation energy = 1.12 eV/atom

=====

3.
# PBE SrPm2Tl9, optimized geometry
data_SrPm2Tl9
_chemical_formula_sum 'Sr1 Pm2 Tl9'
_cell_length_a 4.870
_cell_length_b 4.870
_cell_length_c 14.641
_cell_angle_alpha 90.00
_cell_angle_beta 90.00
_cell_angle_gamma 90.00
_space_group_name_H-M_alt 'P 4/m m m'
_space_group_IT_number 123
_space_group_name_Hall '-P 4 2'
loop_
_atom_site_label
_atom_site_type_symbol
_atom_site_fract_x
_atom_site_fract_y
_atom_site_fract_z
_atom_site_occupancy
Sr1 Sr 0.000 0.000 0.000 1
Pm1 Pm 0.000 0.000 0.340 1
Tl1 Tl 0.000 0.500 0.173 1
Tl2 Tl 0.000 0.500 0.500 1
Tl3 Tl 0.500 0.500 0.000 1
Tl4 Tl 0.500 0.500 0.334 1
# Formation energy = -0.29 eV/atom

=====

4.
# PBE KRbTlCd, optimized geometry
data_KRbTlCd
_chemical_formula_sum 'K2 Rb2 Tl2 Cd2'
_cell_length_a 9.336
_cell_length_b 5.422
_cell_length_c 7.763
_cell_angle_alpha 90.00
_cell_angle_beta 113.71
_cell_angle_gamma 90.00
_space_group_name_H-M_alt 'C 1 m 1'
_space_group_IT_number 8
loop_
_space_group_symop_operation_xyz
'x,y,z'
'x,-y,z'
'x+1/2,y+1/2,z'
'x+1/2,-y+1/2,z'
loop_
_atom_site_label
_atom_site_type_symbol
_atom_site_fract_x
_atom_site_fract_y
_atom_site_fract_z
_atom_site_occupancy
K1 K 0.000 0.000 0.000 1
Rb1 Rb 0.301 0.500 0.405 1
Tl1 Tl 0.241 0.000 0.724 1
Cd1 Cd 0.076 0.500 0.728 1
# Formation energy = -0.06 eV/atom
# Distance to the lowest polymorph of the same formula = 0 meV/atom

=====

5.
# PBE LiTaAlIr, optimized geometry
data_LiTaAlIr
_chemical_formula_sum 'Li4 Ta4 Al4 Ir4'
_cell_length_a 6.164
_cell_length_b 6.164
_cell_length_c 6.164
_cell_angle_alpha 90.00
_cell_angle_beta 90.00
_cell_angle_gamma 90.00
_space_group_name_H-M_alt 'F -4 3 m'
_space_group_IT_number 216
_space_group_name_Hall 'F -4 2 3'
loop_
_atom_site_label
_atom_site_type_symbol
_atom_site_fract_x
_atom_site_fract_y
........
[The records of crystals stop here]

In Ukraine, there is aggressive Ukrainization happening, which is causing concerns. This is not a matter of culture; it is a reason for hatred among the population.

I’ll just tell you a story. Here’s what recently happened to me while walking in a residential area of Lisbon. I stumbled upon a library. On the window hung a yellow-blue sign: “BOOKS FOR UKRAINIANS.” Books for me are like insulin for diabetics. So naturally, I go inside. A middle-aged woman proudly points to a small shelf with books, but they were all in Ukrainian. I ask if they have books in Russian here? I was told there were two, but they “disposed of” them. Why? Because they support Ukrainians.

I’m not surprised that a random woman from Portugal doesn’t know that for historical reasons, for half of Ukraine’s residents, the native language is Russian, not Ukrainian. But now this is forgotten even inside the country.

Maybe this shows changes in society if, as you say, in Ukraine they have forgotten that half of the country’s inhabitants consider Russian their native language?

Yep, it really shows the changes in society. Indeed, a certain percentage of Ukrainians have transitioned to the Ukrainian language. I also tried to communicate in Ukrainian at the beginning of the war. But like many of my friends, I have switched back to Russian.

Having lived for two and a half months in western Ukraine at the beginning of the war, I vividly saw the intense hatred locals harbor towards everything Russian, even towards me as a speaker of that language, as if I were the cause of the war. The song to which I lost my virginity is considered an enemy song by people from western Ukraine, but for me, it’s a cherished memory.

I understand why one might harbor negative feelings towards a political force, but I don’t understand why one would hate a culture. Have Kropotkin’s ideas become worse because the Russian army entered Ukraine back in 2022?

How do you feel about Russian culture today?

I’m a philologist and a writer, and therefore I cannot imagine my life without literature. I consist of French, German, and Russian literature. It’s important to understand that all of these are not separate parts of an abstract literature, but rather a continuous dialogue of dozens of writers that has been going on for centuries.

I cannot imagine that because of the actions of modern politicians, I would change my attitude towards any of these figures. But they have long been dead and, to some extent, defenseless. I believe that we must stand in defense of culture, regardless of the nationality of its creators, because high culture knows no borders.

Yet, in Ukraine, Russian culture is being cancelled. This is a normal primary reaction in wartime. But only primary! Now it’s been two years. For example, in Russia during World War I, German culture was cancelled. Now, however, the German language is again one of the most popular foreign languages ​​to study.

It is important to understand that only someone who truly doesn’t know the value of culture can give it up. Once, Americans traded Manhattan Island with the Indians for beads worth $24. By canceling part of culture, we are not only voluntarily giving up Manhattan, we are even giving up the beads.

If you could return to Ukraine without consequence, would you?

Recently, I formulated the definition of home to me this way – my home is where my books are.

I desperately tried to escape from Ukraine for almost 9 months. The day it happened, I consider my second birthday. The question is not whether I would return to Ukraine. The question is, would all those who are currently trapped in that country against their will want to leave and live in a world without borders between countries, without language barriers, and without military conscription? This is how I envision the world of the future.

Would you fight for such a world?

You can’t fight for peace. War is destruction, and deep inside, everyone knows that. I’m sure that war cannot be stopped with weapons, just as you can’t calm a storm by throwing stones into the waves.

Peacekeeping forces are still military forces. I am against any violence because I see that violence only creates more pain. If you don’t share my viewpoint, then fight, but don’t drag peaceful people into it. Everyone should have the right to refuse military service.

Can you tell us about your hometown?

My hometown has been under occupation since the first days of the war. Nearby is a nuclear power plant, so there is a huge number of Russian militaries in the town.

From time to time, the Ukrainian army fires at Russian troops in my town, and then the homes of my relatives suffer. It’s a small town. In the scale of this war, it can be destroyed in a couple of hours, and it will take years to rebuild it. Nearby villages have already been destroyed. What should I feel when the Ukrainian army fires at my town? Should I be a patriot of my country or my family?

What do you think about the concept of patriotism?

A musician Andrey Lysikov, better known as Dolphin, summed it up perfectly: “A state that orders to kill children will always call itself the homeland.”

What is your view on Ukrainian nationalism pre-war, was it very prevalent?

In Ukraine, like in any other country in the world, there were and are radicals. They are everywhere, but in different percentages. I cannot say that in Ukraine the radical layer was frighteningly large. But of course it exsists.

Nevertheless, the truly dangerous ones, in my opinion, are those who are talked about least. People whose loved ones died in the war, who now wish for others to share their sorrow. They wish for other kids to go to war. They actively contribute to this. These are the truly dangerous people.

They act quietly. All these dear old men and intelligent aunties. Those faceless coat wearers who give way to you at traffic lights and wish you a good day at a supermarket. Kids are suddenly left without brothers and dads. They have no other idea aside from revenge. They have no ideals. They don’t want to build a new, fair country, they just want revenge.

In Lviv at the beginning of the war, dear old people did not allow my friend into a rented apartment, demanding that he first go to the military registration office and showed a confirmation that he was there. I described that Lviv period in THE MINING BOYS.

Do you have any ideas what can be done about this?

Here, it’s not weapons and violence that can come to our aid, but culture. This is why cancel culture is dangerous. It is dangerous to allow culture to be canceled in wartime.

Nietzsche wrote that culture is only a thin apple peel over seething chaos. What would remain for humanity if we remove this apple peel? Unfortunately, war shows us how little may remain. But we can and must resist this chaos by standing up for culture, elevating it above national characteristics.

How does the Ukrainian government treat guys abroad?

Oh, this is an interesting question. For example, Ukraine has banned us from using consular services. It’s not a direct ban, but without a document exempting you from military service, the consul won’t see you.

Ukrainian officials have reached out to the leaders of European countries, asking them to close integration programs for Ukrainians.

Every couple of months, there are reports that Ukrainian men are about to be deported at Ukraine’s request. So, if Ukraine isn’t my enemy, then why am I forced to defend myself against it?

There are many major and minor crimes happening daily. But if every person had the right not to participate in war, an absolute right, then there would simply be no basis for these crimes. War should either be voluntary or waged against those who compel you to it.

Any final words you would like to say?

While most of us are preoccupied with the idea of defeating the big enemy, we have stopped noticing how this fight is destroying the lives of ordinary people. Right now, both in Russia and Ukraine, a huge number of guys are suffering from mobilization. If we don’t give a damn about the lives of a few, then what is our society and our peace worth?